Activity:
Filter the lines further down: keep the lines with the word "C7H12".

Entries:
{"formula": "C7H12", "method": "the ωB97M-V functional and the def2-TZVPD basis", "species": ["C", "C", "C", "C", "C", "C", "C", "H", "H", "H", "H", "H", "H", "H", "H", "H", "H", "H", "H"], "positions_angstrom": [[0.7220, -2.2801, -0.4282], [-0.2338, -1.2544, 0.0605], [0.3665, -0.1237, 0.7824], [-0.5252, 1.1122, 0.5784], [0.2990, 2.3709, 0.3227], [-1.3717, 0.6957, -0.6081], [-1.1757, -0.5847, -0.9220], [1.8696, -1.1425, -0.7423], [1.2890, -2.7625, 0.3699], [0.2116, -3.0427, -1.0527], [-0.7180, -2.0190, 0.7347], [0.8253, -0.2890, 1.7572], [1.7647, -0.2914, -0.1976], [-1.1889, 1.3054, 1.4462], [0.9513, 2.1983, -0.5388], [0.9287, 2.5959, 1.1903], [-0.3394, 3.2380, 0.1205], [-2.0436, 1.3897, -1.1188], [-1.6314, -1.1161, -1.7543]], "forces_ev_per_angstrom": [[1.065, 0.612, -0.560], [0.087, -0.290, 0.057], [0.746, -0.029, -0.410], [0.273, -0.077, -0.088], [0.055, 0.114, -0.033], [0.162, -0.205, 0.000], [-0.102, -0.124, 0.156], [-1.444, -1.506, 0.017], [-0.065, 0.050, -0.035], [0.798, 0.441, -0.166], [-0.426, 0.820, 0.048], [-0.087, 0.052, -0.138], [-1.637, 0.513, 1.012], [0.345, -0.229, -0.139], [-0.060, 0.107, 0.095], [-0.082, 0.018, -0.139], [0.089, -0.104, 0.042], [0.272, -0.243, 0.097], [0.012, 0.079, 0.184]], "nbo_charge": [-0.443, -0.398, -0.183, -0.310, -0.590, -0.170, -0.185, 0.065, 0.195, 0.205, 0.289, 0.212, 0.041, 0.216, 0.214, 0.210, 0.206, 0.215, 0.213], "e_homo_ev": -8.3, "orbital_gap_ev": 8.99, "de_lowest_kj_mol": 462.8, "lumo_energy_ev": 0.728, "e_tot_ev": -7448.6345, "spin_multiplicity": 1, "total_charge": 0}

{"formula": "C7H12", "method": "the ωB97M-V functional and the def2-TZVPD basis", "species": ["C", "C", "C", "C", "C", "C", "C", "H", "H", "H", "H", "H", "H", "H", "H", "H", "H", "H", "H"], "positions_angstrom": [[2.0795, 0.0519, 0.3210], [0.9673, -0.6763, 0.4103], [0.9721, -2.0357, 1.1103], [-0.2979, -0.2192, -0.1770], [-1.0357, -0.9705, -0.9918], [-0.7607, 1.1758, 0.1952], [-1.4396, 2.0242, -0.9106], [2.1443, 1.0543, -0.0770], [2.9950, -0.2871, 0.7980], [0.9976, -1.8399, 2.1799], [0.1983, -2.7164, 0.7778], [1.9227, -2.5190, 0.8626], [-1.9909, -0.6612, -1.3848], [-0.7940, -2.0167, -1.1461], [0.0974, 1.7613, 0.5247], [-1.4137, 1.1220, 1.0719], [-2.0233, 1.4082, -1.5844], [-0.6240, 2.4869, -1.4757], [-1.9943, 2.8575, -0.5043]], "forces_ev_per_angstrom": [[0.151, -0.059, 0.746], [0.308, -0.608, -0.049], [1.266, 0.561, -0.628], [-1.003, 0.816, -0.533], [0.071, -0.710, 0.644], [-0.077, 0.873, -0.095], [1.201, -0.448, 0.121], [-0.290, -0.013, -0.262], [-0.028, -0.165, -0.173], [-0.450, -0.363, 0.138], [-0.356, 0.177, 0.279], [-0.053, -0.050, 0.172], [0.008, 0.221, -0.114], [0.166, 0.090, -0.243], [0.058, -0.126, 0.171], [-0.016, -0.218, -0.026], [-0.312, 0.206, -0.036], [-0.196, -0.159, -0.295], [-0.449, -0.026, 0.183]], "nbo_charge": [-0.396, -0.006, -0.642, -0.012, -0.398, -0.427, -0.599, 0.197, 0.193, 0.226, 0.220, 0.217, 0.196, 0.193, 0.207, 0.213, 0.205, 0.203, 0.210], "e_homo_ev": -8.8, "orbital_gap_ev": 9.85, "de_lowest_kj_mol": 118.3, "lumo_energy_ev": 1.062, "e_tot_ev": -7452.2057, "spin_multiplicity": 1, "total_charge": 0}

Worked solution:
{"formula": "C7H12", "method": "the ωB97M-V functional and the def2-TZVPD basis", "species": ["C", "C", "C", "C", "C", "C", "C", "H", "H", "H", "H", "H", "H", "H", "H", "H", "H", "H", "H"], "positions_angstrom": [[0.7220, -2.2801, -0.4282], [-0.2338, -1.2544, 0.0605], [0.3665, -0.1237, 0.7824], [-0.5252, 1.1122, 0.5784], [0.2990, 2.3709, 0.3227], [-1.3717, 0.6957, -0.6081], [-1.1757, -0.5847, -0.9220], [1.8696, -1.1425, -0.7423], [1.2890, -2.7625, 0.3699], [0.2116, -3.0427, -1.0527], [-0.7180, -2.0190, 0.7347], [0.8253, -0.2890, 1.7572], [1.7647, -0.2914, -0.1976], [-1.1889, 1.3054, 1.4462], [0.9513, 2.1983, -0.5388], [0.9287, 2.5959, 1.1903], [-0.3394, 3.2380, 0.1205], [-2.0436, 1.3897, -1.1188], [-1.6314, -1.1161, -1.7543]], "forces_ev_per_angstrom": [[1.065, 0.612, -0.560], [0.087, -0.290, 0.057], [0.746, -0.029, -0.410], [0.273, -0.077, -0.088], [0.055, 0.114, -0.033], [0.162, -0.205, 0.000], [-0.102, -0.124, 0.156], [-1.444, -1.506, 0.017], [-0.065, 0.050, -0.035], [0.798, 0.441, -0.166], [-0.426, 0.820, 0.048], [-0.087, 0.052, -0.138], [-1.637, 0.513, 1.012], [0.345, -0.229, -0.139], [-0.060, 0.107, 0.095], [-0.082, 0.018, -0.139], [0.089, -0.104, 0.042], [0.272, -0.243, 0.097], [0.012, 0.079, 0.184]], "nbo_charge": [-0.443, -0.398, -0.183, -0.310, -0.590, -0.170, -0.185, 0.065, 0.195, 0.205, 0.289, 0.212, 0.041, 0.216, 0.214, 0.210, 0.206, 0.215, 0.213], "e_homo_ev": -8.3, "orbital_gap_ev": 8.99, "de_lowest_kj_mol": 462.8, "lumo_energy_ev": 0.728, "e_tot_ev": -7448.6345, "spin_multiplicity": 1, "total_charge": 0}
{"formula": "C7H12", "method": "the ωB97M-V functional and the def2-TZVPD basis", "species": ["C", "C", "C", "C", "C", "C", "C", "H", "H", "H", "H", "H", "H", "H", "H", "H", "H", "H", "H"], "positions_angstrom": [[2.0795, 0.0519, 0.3210], [0.9673, -0.6763, 0.4103], [0.9721, -2.0357, 1.1103], [-0.2979, -0.2192, -0.1770], [-1.0357, -0.9705, -0.9918], [-0.7607, 1.1758, 0.1952], [-1.4396, 2.0242, -0.9106], [2.1443, 1.0543, -0.0770], [2.9950, -0.2871, 0.7980], [0.9976, -1.8399, 2.1799], [0.1983, -2.7164, 0.7778], [1.9227, -2.5190, 0.8626], [-1.9909, -0.6612, -1.3848], [-0.7940, -2.0167, -1.1461], [0.0974, 1.7613, 0.5247], [-1.4137, 1.1220, 1.0719], [-2.0233, 1.4082, -1.5844], [-0.6240, 2.4869, -1.4757], [-1.9943, 2.8575, -0.5043]], "forces_ev_per_angstrom": [[0.151, -0.059, 0.746], [0.308, -0.608, -0.049], [1.266, 0.561, -0.628], [-1.003, 0.816, -0.533], [0.071, -0.710, 0.644], [-0.077, 0.873, -0.095], [1.201, -0.448, 0.121], [-0.290, -0.013, -0.262], [-0.028, -0.165, -0.173], [-0.450, -0.363, 0.138], [-0.356, 0.177, 0.279], [-0.053, -0.050, 0.172], [0.008, 0.221, -0.114], [0.166, 0.090, -0.243], [0.058, -0.126, 0.171], [-0.016, -0.218, -0.026], [-0.312, 0.206, -0.036], [-0.196, -0.159, -0.295], [-0.449, -0.026, 0.183]], "nbo_charge": [-0.396, -0.006, -0.642, -0.012, -0.398, -0.427, -0.599, 0.197, 0.193, 0.226, 0.220, 0.217, 0.196, 0.193, 0.207, 0.213, 0.205, 0.203, 0.210], "e_homo_ev": -8.8, "orbital_gap_ev": 9.85, "de_lowest_kj_mol": 118.3, "lumo_energy_ev": 1.062, "e_tot_ev": -7452.2057, "spin_multiplicity": 1, "total_charge": 0}